This is your pillow tonight
This is your pillow tonight
That's a bit too slothful.
smells like piss, I dont want it
Are lap pillows already a thing?
Go jog or something, fucking fatass holy shit.
Yes, but only normalfags with girlfriends get one. I was thinking of acquiring a girlfriend for the purpose of lap pillows. Seems like a lot of work though so I dropped the idea.
yeah but only for tonight
Is it a trap?
>you will never cry yourself to sleep on her lap while she whispers sweet nothings into your ear
It fucking hurts to live
>tfw you will never get a lap pillow by Emilia-tan
>you will never cry yourself to sleep
People seriosly do this?
>crying when you can put your head on a qt girls lap
I fucking hope it hurts, you deserve it
Crying from happiness, that is.
Emiliafags do for having the worst case of shit taste. It's how they cope.
Stop being a pussy faggot.
I have years of pent up emotional damage.
>watching anime
>not being a pussy faggot
Choose one
Stop. Emilia is a good girl.
Ah okay, my apologies. I'm an Emiliafag now because user said so.
She's far from the best though.
God, this is why I don't associate with anime watchers IRL.
You guys have the mental state of a teenager girl.
Because she's better than the best
>implying you don't
>not being a little girl
>on Sup Forums
I canĀ“t sleep on a pillow without bulge.
I can stand sleeping on the floor but not without a pillow on the back of my head.
Looks soft.
Why do we never see girls using their boyfriend's lap as a pillow?
This is the only example I could find and it barely counts.
What does my pillow smell like?
How does witches smells?
Black roses.
erect dicks are not soft
Start playing eroge. Moege particularly.
But wouldn't her head be on his leg, not his dick?
Besides, why would he get an erection? It's all about letting a girl rest safely because he's there to watch over her.
That's really cute
>It's all about letting a girl rest safely because he's there to watch over her.
Get a girlfriend, user. I had that thought, that watching her being cute is enough. But it turned to lust really soon.
## Next to the entry, the page also holds materials data
~~~
# Sc3GaCu8 (GGA-PBE, optimized geometry)
# Energy of formation in kcal/mol of atoms: -5.33
# VASP energy in eV per atom: -4.80
data_Sc3GaCu8
_chemical_formula_sum 'Sc9 Ga3 Cu24'
_cell_length_a 4.9890
_cell_length_b 4.9890
_cell_length_c 24.5741
_cell_angle_alpha 90.00
_cell_angle_beta 90.00
_cell_angle_gamma 120.00
_space_group_name_H-M_alt 'R 3 m'
_space_group_IT_number 160
_space_group_name_Hall 'R 3 -2"'
loop_
_atom_site_label
_atom_site_fract_x
_atom_site_fract_y
_atom_site_fract_z
Sc1 0.0000 0.0000 0.0000
Sc2 0.0000 0.0000 0.1255
Sc3 0.0000 0.0000 0.6154
Ga1 0.0000 0.0000 0.4918
Cu1 0.0000 0.0000 0.3086
Cu2 0.0000 0.0000 0.8092
Cu3 0.9997 0.4999 0.0588
Cu4 0.0030 0.5015 0.5592


# ScGaCu (GGA-PBE, optimized geometry)
# Energy of formation in kcal/mol of atoms: -9.79
# VASP energy in eV per atom: -4.91
data_ScGaCu
_chemical_formula_sum 'Sc2 Ga2 Cu2'
_cell_length_a 4.121
_cell_length_b 4.351
_cell_length_c 5.872
_cell_angle_alpha 90.00
_cell_angle_beta 110.61
_cell_angle_gamma 90.00
_space_group_name_H-M_alt 'P 1 21/m 1'
_space_group_IT_number 11
_space_group_name_Hall '-P 2yb'
loop_
_atom_site_label
_atom_site_fract_x
_atom_site_fract_y
_atom_site_fract_z
Sc1 0.099 0.250 0.197
Ga1 0.397 0.250 0.792
Cu1 0.237 0.750 0.478


# ScGaCu (GGA-PBE, optimized geometry)
# Energy of formation in kcal/mol of atoms: -7.64
# VASP energy in eV per atom: -4.82
data_ScGaCu
_chemical_formula_sum 'Sc4 Ga4 Cu4'
_cell_length_a 6.039
_cell_length_b 6.039
_cell_length_c 6.039
_cell_angle_alpha 90.00
_cell_angle_beta 90.00
_cell_angle_gamma 90.00
_space_group_name_H-M_alt 'F -4 3 m'
_space_group_IT_number 216
_space_group_name_Hall 'F -4 2 3'
loop_
_atom_site_label
_atom_site_fract_x
_atom_site_fract_y
_atom_site_fract_z
Sc1 0.000 0.000 0.000
Ga1 0.000 0.000 0.500
Cu1 0.250 0.250 0.750

* * * * *

1.
# La2Sm3Ga4

A geometry-optimized La2Sm3Ga4 structure (PBE, Alexandria).

## Properties
* ΔE to the lowest computed polymorph: 0 meV per atom
* energy of formation: -548 meV per atom
* DFT total energy: -4.5614 eV per atom

Cell lengths 7.714, 8.218, 8.203 Å; angles 90.00, 90.00, 106.09 degrees
Element x y z (fractional)
Ga1 0.619 0.506 0.619
Sm1 0.500 0.500 0.000
La1 0.428 0.810 0.681
Sm2 0.252 0.238 0.675
La2 0.572 0.190 0.319
Ga2 0.629 0.921 0.032
Ga3 0.881 0.494 0.119
Sm3 0.748 0.762 0.325
Ga4 0.871 0.079 0.532
Ga5 0.129 0.921 0.468
La3 0.928 0.810 0.819
La4 0.072 0.190 0.181
Sm4 0.000 0.500 0.500
Ga6 0.381 0.494 0.381
Ga7 0.371 0.079 0.968
Ga8 0.119 0.506 0.881
Sm5 0.752 0.238 0.825
Sm6 0.248 0.762 0.175



2.
# TlMo2W2

A geometry-optimized TlMo2W2 structure (PBE, Alexandria).

## Properties
* ΔE to the lowest computed polymorph: 90 meV per atom
* energy of formation: 809 meV per atom
* DFT total energy: -9.1784 eV per atom

Cell lengths 4.169, 4.169, 6.515 Å; angles 71.34, 71.34, 90.00 degrees
Element x y z (fractional)
W1 0.250 0.750 0.500
Tl1 0.000 0.000 0.000
W2 0.750 0.250 0.500
Mo1 0.381 0.381 0.237
Mo2 0.619 0.619 0.763



3.
# Sr2GeBiTe
~~~
Also, a girl is supposed to rest on a man's pecs/dels/back cause they look dependable, not his quads.
>dem hips
>them perfectly soft thighs
>silky smooth white skin
Raw sewage.
Can I keep her? These niggers on Sup Forums have no appreciation and can only repeat memes to her
Roses aren't stinky.
>slender waist
>child bearing hips
>thick thighs
>curvy ass
>airheaded, dense
All her appeals cater to my fetishes, but for some reason I don't find her cute at all.
But the dangling pieces of flesh hanging from her hairy unkempt crotch is
Where did this "stinky" meme start anyway? I just caught up and avoided the threads before then
Its because she smells
She's a stinky whore.
It's revealed in the WN that Emilia is stinky and Subaru is just noseblind to it
That doesn't help Miss Daisy
Is this the same WN where Subaru gets skinned alive?
Imagine cuddling with Subaru-chan
So that's why everyone in this universe seems to hate her except Subaru.
Spoiler that shit.
Majikoi A1.
Hello, I am the creator of the stinky meme. Please do not use it anymore. Thanks.
Iron, sulphur, tar and shit.
Who is this?
It's a knife-ear. Just as bad.
Not true.
He was really tired.
how many times do I have to die to be able to rest on Emilia-tan's delicious thighs?
Just once.
emilia makes no fucking sense as a character to me, i don't understand her motives or why she acts the way she does.
actually the only character who seems to have clear motives is Rem, because she actually behaves like she gives a proper fuck about Subaru and understands there is something about him people can't see/understand.
also why doesn't subaru just write out "i can time travel through death" like one letter at a time over 2 or 3 days and then mail each word/letter one at a time, or something, will it still trigger the "heart stop" warning for telling people about his curse?
>also why doesn't subaru just write out "i can time travel through death" like one letter at a time over 2 or 3 days and then mail each word/letter one at a time, or something, will it still trigger the "heart stop" warning for telling people about his curse?
It hasn't been shown in the anime, but even if someone finds out about Subaru's powers with out Subaru himself telling them, Satella will kill them
damn. i should really rewatch the one episode Satella shows up in. i'm scared of being spoiled on the anime by asking about shit regarding satella that's only in the books though. as far as i can tell she's only appeared in one of the original eps and not once since.
How us Emilia not making sense?
So far we don't know much about her but she is pretty consistent.
I guess I need to rewatch the series again once it's done, but i feel like for such a pivotal character, who is supposed to be the driving factor behind subaru's fanaticism and willpower, she is remarkably underdeveloped as a character. I would say even the icy princess bitch has now been better developed than Emilia.
but maybe i'm not used to having to read into subtle shit during an anime, so maybe her various comments about equivalency and such give insight into her personality i'm just not getting
rem seems like the heroine now, why does subaru still even give a shit about emilia when rem has gone through such a ridiculous amount of BS for him?
Why can't Subaru love Emilia when he has suffered so much for her?
Like smoke
he can it just doesn't make any sense to me.
rem is right there and she's like ten times the woman emilia is. the show is blatantly pushing them as a couple. part of what makes me think subaru is himself just a side character in the "RPG world" of re:zero and that the real hero / heroine are elsewhere doing the standard route.
Aren't you doing the same as Subaru?
Subaru is infatuated with Emilia for a couple of reason.
A) She saved him from the alley thiefs in his first life after arriving in the new world
B)She's generally been pretty kind towards him and was the first person to do so
C)Subaru is still somewhat under the delusion that he's the hero in some fantasy game/novel, therefor Emilia being the first girl he meets of any note must be the heroine destined to fall for the hero
D) She's hot
"But wait!" You ask "Isn't that incredibly retarded/shallow on Subaru's part?" and the answer is yes, yes it is.
rem fills all those same quotas though, she just wasn't the first girl he met.
and emilia always seems really upset when subaru mentions their first meeting cuz in the current timeline it never happened. it just seems completely doomed to fail between them.
come on subaru u got dat oni pusspuss right there, it's open for business
Rem is doing the same as Subaru but it's okay for Rem and wrong for Subaru.
Being first is important, Emilia's already impressed her self on Subaru and he's stuck on her like an idiot. Besides it's not like Rem's love for Subaru is much better than Subaru's love for Emilia. Subaru basically praised her once, and now she's basically his lap dog, none of the love's we've been shown so far in this show are healthy.
She appeared in one of the episodes???
He runs into her in one of the first few timelines but she behaves completely different and introduces herself as Satella, but that side of "Emilia" is never shown again, and they make a point of noting that Emilia looks almost exactly like the Witch. the impression I got was that he met Emilia, then died and met the actual Witch, but never came to realize that as he got caught up in the Loot House incident.
This is your pillow tonight.
>no doujin
People reckon Subaru is the villain and because Felt is the illegitimate heir to the throne she and Reinhard are the real MC's.
Lich pillow is the best pillow
I think Emilia just used a fake name.
She did, Emilia said her name was Satella since she didn't want anyone else to get involved with here and she figured that calling your self the in-universe devil while you look like the devil would scare him off.
it makes no sense for her to introduce herself as Satella, the name of the Jealous Witch, and when Subaru then uses that name on her later, she looks horrified and everyone stares at him. I think he met the actual witch near the beginning, and mistook her for Emilia
Butthurt autistic remfag is samefagging in an attempt to force this. Just ignore it
Darker than Black, episode 2
See The reason she was so shocked at Subaru calling her Satella the second time is because it was the first time they met and he basically just called her Satan out of nowhere.
There is no reason to be so upset
A warm, stinky and sweaty pillow. I'll have to decline.
>not getting turned on by a girl's stench
What are you a faggot?
sounds unhygenical as fuck.
You don't fool me, I know you are a bacteria behind the pc.
I'd prefer using her butt.
Bad taste.
This wouldn't be the first time I have anal fingered my pillow. The difference being, that this time it's alive.
The witch scent? The same smell that Subaru has?